(Listing)
<<<
The following is a quantum chemistry calculation of 10 unconnected molecules or ions with the total composition C38H88F12N6O16S4, from OMol25.

Values from the calculation:
- total charge = +2
- spin multiplicity = 1
- E_tot (Ha) = -5823.618099
- F_max (Eh/bohr) = 0.08708
- highest occupied orbital energy (eV) = -11.76

Last column: Mulliken charge in e.
CARTESIAN COORDINATES (ANGSTROEM)
C 10.0476 5.0589 -4.6448  -1.203
C 9.0267 3.9380 -4.2168  -0.377
C 7.8026 4.7159 -3.7805  -0.554
C 6.7066 3.8712 -3.2012  -1.043
N 5.4626 4.6262 -2.7347  1.094
C 4.5510 3.5964 -2.0778  -0.083
C 3.3283 3.4800 -2.9480  -0.070
C 3.1772 4.8841 -3.5644  -0.753
C 4.6029 5.2964 -3.8314  -0.720
C 5.8325 5.7285 -1.7568  -1.473
H 11.0458 4.6925 -5.0485  0.352
H 10.2758 5.5334 -3.6899  0.316
H 9.6094 5.7464 -5.3543  0.338
H 9.4522 3.4057 -3.3324  0.296
H 8.7630 3.2636 -5.0492  0.343
H 7.3470 5.2484 -4.6966  0.320
H 7.9987 5.5223 -3.0721  0.363
H 7.0687 3.2332 -2.3619  0.346
H 6.3126 3.1590 -3.9266  0.437
H 4.3223 4.0289 -1.1193  -0.598
H 5.1743 2.7179 -2.0171  0.280
H 2.5556 3.0568 -2.3076  0.088
H 3.4575 2.6749 -3.6316  0.380
H 2.7355 5.6687 -2.9071  0.206
H 2.5362 4.9039 -4.4262  0.529
H 4.8325 6.3589 -3.7902  0.454
H 4.9661 4.8940 -4.7992  0.356
H 6.1239 5.2239 -0.8733  0.281
H 4.9778 6.4241 -1.7716  0.554
H 6.6616 6.3158 -2.1577  0.457
C -0.8124 4.8572 -1.3062  -0.750
C -1.8363 5.1214 -0.1569  -0.775
C -2.9136 4.0005 -0.1816  -0.482
C -2.2924 2.6134 0.1753  0.524
N -3.4241 1.5548 0.0238  0.603
C -4.4313 1.6654 1.0998  -0.590
C -4.8431 0.2313 1.5355  -0.647
C -3.8951 -0.7160 0.6460  0.272
C -2.7541 0.2296 0.2259  0.189
C -4.0394 1.5698 -1.3350  -1.006
H -0.0571 5.6586 -1.4123  0.347
H -1.2357 4.7708 -2.3090  0.436
H -0.2699 3.8816 -1.1578  -0.058
H -2.2809 6.1174 -0.1930  0.459
H -1.3047 5.1086 0.8308  0.181
H -3.1950 4.0021 -1.2308  0.298
H -3.8088 4.3117 0.3858  0.340
H -2.0345 2.6473 1.2435  -0.399
H -1.4979 2.3090 -0.5010  0.066
H -5.2883 2.2522 0.7137  0.416
H -4.0052 2.2107 1.9240  0.324
H -5.8873 0.0458 1.3645  0.484
H -4.5576 0.0901 2.5913  -0.031
H -4.4391 -1.1519 -0.1996  0.611
H -3.4059 -1.4422 1.3248  -0.371
H -2.2090 0.0356 -0.6827  -0.269
H -2.0619 0.3156 1.0808  -0.045
H -4.5857 2.4685 -1.5519  0.344
H -4.8017 0.7883 -1.3337  0.502
H -3.2811 1.4732 -2.1077  0.159
C 1.5196 -3.6965 -6.4858  -1.586
C -0.0010 -3.5095 -6.3185  -0.013
C -0.6084 -4.6519 -5.5142  -0.604
O -2.0006 -4.3762 -5.1860  -0.290
C -2.8276 -4.6056 -6.3461  -0.799
N -0.2494 -2.3061 -5.4558  -0.072
H 0.1879 -1.4951 -5.8551  0.345
H -1.3029 -2.2081 -5.3527  0.408
H 0.1967 -2.3499 -4.4454  0.360
H 1.9591 -2.9525 -7.1233  0.453
H 1.7729 -4.6451 -6.9373  0.422
H 2.0410 -3.7520 -5.5155  0.330
H -0.4026 -3.3504 -7.3091  0.403
H -0.1766 -4.8190 -4.5690  0.445
H -0.5220 -5.5512 -6.2089  0.373
H -2.3106 -4.2367 -7.2396  0.325
H -3.6812 -3.9827 -6.2671  0.306
H -3.1072 -5.6306 -6.4359  0.295
C 3.3858 -0.5119 1.5081  -1.597
C 2.4395 0.6653 1.7122  1.185
C 1.9330 0.8984 3.1148  -0.958
O 1.3253 2.2742 3.2010  0.177
C 1.7257 2.8574 4.4227  -0.968
N 3.1825 1.9552 1.3851  0.128
H 2.6046 2.8045 1.5683  0.269
H 4.0750 2.0815 1.8772  0.417
H 3.4199 2.0783 0.4174  0.167
H 2.9703 -1.4169 1.9084  0.414
H 4.2360 -0.3226 2.2075  0.441
H 3.7201 -0.7079 0.4817  0.364
H 1.5627 0.6050 0.9815  -0.328
H 2.7578 0.9729 3.8596  0.551
H 1.1685 0.1930 3.4160  0.175
H 2.8032 2.9077 4.5342  0.453
H 1.2948 2.2624 5.2545  0.130
H 1.4349 3.8990 4.4983  0.221
C -1.9405 0.0861 8.5347  -1.514
C -1.9599 -1.0430 7.5204  1.379
C -1.3270 -2.2857 8.1396  -0.700
O -1.6905 -3.3974 7.3154  -0.410
C -1.0512 -3.4470 6.0217  -0.215
N -3.4193 -1.3991 7.1579  -0.194
H -4.0065 -0.5896 6.8624  0.381
H -3.4374 -1.9741 6.3491  0.211
H -3.8394 -1.9039 7.9678  0.401
H -0.9263 0.2489 8.9192  0.376
H -2.5221 -0.2471 9.4370  0.422
H -2.4858 0.9204 8.0936  0.354
H -1.5774 -0.7667 6.5625  -0.705
H -1.7475 -2.3169 9.1667  0.377
H -0.2223 -2.2457 8.1468  0.352
H -1.4053 -2.6687 5.2986  0.000
H -1.1685 -4.4775 5.6463  0.150
>>>

(To do)
What is needed: echo the part of the entries earlier on that starts with the line with "-3.6316" and stops after the one with "-7.1233".

(Written answer)
H 3.4575 2.6749 -3.6316  0.380
H 2.7355 5.6687 -2.9071  0.206
H 2.5362 4.9039 -4.4262  0.529
H 4.8325 6.3589 -3.7902  0.454
H 4.9661 4.8940 -4.7992  0.356
H 6.1239 5.2239 -0.8733  0.281
H 4.9778 6.4241 -1.7716  0.554
H 6.6616 6.3158 -2.1577  0.457
C -0.8124 4.8572 -1.3062  -0.750
C -1.8363 5.1214 -0.1569  -0.775
C -2.9136 4.0005 -0.1816  -0.482
C -2.2924 2.6134 0.1753  0.524
N -3.4241 1.5548 0.0238  0.603
C -4.4313 1.6654 1.0998  -0.590
C -4.8431 0.2313 1.5355  -0.647
C -3.8951 -0.7160 0.6460  0.272
C -2.7541 0.2296 0.2259  0.189
C -4.0394 1.5698 -1.3350  -1.006
H -0.0571 5.6586 -1.4123  0.347
H -1.2357 4.7708 -2.3090  0.436
H -0.2699 3.8816 -1.1578  -0.058
H -2.2809 6.1174 -0.1930  0.459
H -1.3047 5.1086 0.8308  0.181
H -3.1950 4.0021 -1.2308  0.298
H -3.8088 4.3117 0.3858  0.340
H -2.0345 2.6473 1.2435  -0.399
H -1.4979 2.3090 -0.5010  0.066
H -5.2883 2.2522 0.7137  0.416
H -4.0052 2.2107 1.9240  0.324
H -5.8873 0.0458 1.3645  0.484
H -4.5576 0.0901 2.5913  -0.031
H -4.4391 -1.1519 -0.1996  0.611
H -3.4059 -1.4422 1.3248  -0.371
H -2.2090 0.0356 -0.6827  -0.269
H -2.0619 0.3156 1.0808  -0.045
H -4.5857 2.4685 -1.5519  0.344
H -4.8017 0.7883 -1.3337  0.502
H -3.2811 1.4732 -2.1077  0.159
C 1.5196 -3.6965 -6.4858  -1.586
C -0.0010 -3.5095 -6.3185  -0.013
C -0.6084 -4.6519 -5.5142  -0.604
O -2.0006 -4.3762 -5.1860  -0.290
C -2.8276 -4.6056 -6.3461  -0.799
N -0.2494 -2.3061 -5.4558  -0.072
H 0.1879 -1.4951 -5.8551  0.345
H -1.3029 -2.2081 -5.3527  0.408
H 0.1967 -2.3499 -4.4454  0.360
H 1.9591 -2.9525 -7.1233  0.453